What is needed: find the line underneath that holds "-1.2192 5.9690", then restate that line and all lines after it there.

********
(1)
The following is a DFT calculation (ωB97M-V with the def2-TZVPD basis set) of a structure of composition C15H40B2CuF8O15S5 at a distorted geometry.

Calculated values
* Kohn-Sham gap (alpha / beta): 10.088 / 6.813 eV
* LUMO level (alpha / beta): 0.06 / -3.21 eV
* E: -6204.4007 hartree
* ΔE to the lowest compared entry with this formula, charge and spin: 85.4 kcal/mol
* highest occupied orbital energy (alpha / beta): -10.0 / -10.0 eV
* multiplicity: 2

Atoms and positions in Å:
1 Cu -0.2430 -0.2538 -0.5746
2 B 0.4884 -2.1094 -2.3696
3 F 0.0270 -2.2871 -1.1532
4 F -0.0425 -0.9129 -2.8415
5 F 1.8847 -1.9417 -2.2237
6 F 0.1707 -2.9896 -3.3439
7 B -0.6399 0.9804 1.8881
8 F 0.1339 0.5461 2.8845
9 F 0.0820 1.5165 0.8203
10 F -1.2817 -0.1087 1.3221
11 F -1.5140 1.9160 2.2709
12 O 1.5781 -0.9902 0.4820
13 S 2.8887 -1.2652 1.0410
14 O 3.1643 -2.6522 1.2778
15 O 3.9710 -0.4525 0.0742
16 C 5.3945 -0.4889 0.2577
17 C 5.9470 -1.7071 -0.5195
18 C 3.0761 -0.2924 2.6293
19 H 5.6323 -0.5885 1.3168
20 H 5.8174 0.4863 0.0164
21 H 6.9795 -1.8854 -0.2192
22 H 5.8750 -1.6725 -1.6065
23 H 5.3119 -2.5631 -0.2910
24 H 4.0989 -0.5133 2.9345
25 H 2.3438 -0.7996 3.2575
26 H 2.8901 0.7767 2.5266
27 O -1.5614 1.1015 -1.8807
28 S -2.7111 2.0024 -2.2980
29 O -4.0900 1.6068 -2.0314
30 O -2.2970 3.5135 -1.5616
31 C -0.9030 3.8665 -1.6121
32 C -0.7782 5.1504 -0.7408
33 C -2.4966 2.5328 -3.9987
34 H -0.6471 4.0005 -2.6631
35 H -0.3346 3.0696 -1.1326
36 H -1.2192 5.9690 -1.3095
37 H 0.2794 5.3885 -0.6266
38 H -1.1220 5.1195 0.2931
39 H -1.4150 2.5706 -4.1284
40 H -2.9098 3.5337 -4.1232
41 H -2.9779 1.8292 -4.6779
42 O -2.3261 -1.1041 -0.8481
43 S -3.2151 -2.2011 -1.1811
44 O -2.9701 -3.5440 -0.6890
45 O -4.8293 -1.7202 -0.9958
46 C -5.8988 -2.5948 -0.7348
47 C -7.0716 -1.7013 -0.2300
48 C -3.3081 -2.3131 -3.0307
49 H -5.6333 -3.3165 0.0378
50 H -6.1845 -2.9966 -1.7069
51 H -7.2603 -1.0889 -1.1118
52 H -6.7197 -0.9812 0.5087
53 H -7.9659 -2.2649 0.0357
54 H -3.8730 -1.5027 -3.4912
55 H -3.8646 -3.2388 -3.1774
56 H -2.2961 -2.2193 -3.4247
57 O 1.4349 0.7869 -1.6518
58 S 1.8493 1.7071 -2.6602
59 O 1.1228 2.0191 -3.8749
60 O 2.3310 3.1868 -2.0046
61 C 2.5517 4.2696 -2.9288
62 C 3.1980 5.4236 -2.2664
63 C 3.5351 1.0537 -3.2164
64 H 1.6560 4.6028 -3.4530
65 H 3.1852 3.9313 -3.7488
66 H 2.7022 5.5458 -1.3034
67 H 3.3082 6.3041 -2.8994
68 H 4.2080 5.0612 -2.0748
69 H 3.3448 0.0506 -3.5981
70 H 4.1034 0.7661 -2.3318
71 H 4.0664 1.7367 -3.8792
72 O -1.3751 -4.8483 6.4308
73 S -0.5677 -3.6822 6.8487
74 O 0.8304 -3.9176 7.2429
75 O -0.5181 -2.6032 5.5234
76 C 0.4078 -2.7801 4.5187
77 C -0.4692 -2.9399 3.2298
78 C -1.5036 -2.5434 8.1091
79 H 1.1730 -3.5495 4.6219
80 H 0.9162 -1.8159 4.5066
81 H 0.1258 -2.6933 2.3505
82 H -1.2702 -2.2008 3.2438
83 H -0.8628 -3.9512 3.1274
84 H -2.2689 -2.0398 7.5185
85 H -0.7544 -1.8347 8.4618
86 H -1.8946 -3.2604 8.8310

Cartesian forces, eV/Å:
-0.4 0.5 0.3
3.0 0.5 -3.4
-2.1 -1.2 3.8
-0.8 2.0 0.1
0.4 -0.1 -0.4
-0.3 -1.8 -0.3
-0.3 1.0 0.2
1.6 -0.6 1.5
1.4 0.3 -1.7
-0.6 -2.1 -1.7
-1.4 1.1 0.8
1.1 0.4 0.3
-0.4 1.8 0.4
0.8 0.9 -0.2
-1.8 -0.4 0.5
0.3 -1.5 0.1
-0.3 0.4 0.3
0.1 -1.5 -1.3
-0.1 -0.3 0.2
-0.4 0.0 -0.6
0.0 -0.2 -0.1
0.1 0.7 0.0
0.3 -0.1 0.5
-0.1 0.1 0.2
0.1 0.3 0.2
-0.2 -0.3 -0.3
-2.9 2.4 -1.4
2.3 0.0 2.4
2.5 1.1 -0.3
-1.9 -2.5 -1.0
-0.3 0.3 1.7
0.7 -0.1 -1.2
0.2 -0.3 0.2
0.5 0.3 0.2
0.1 0.0 -0.3
-0.2 0.2 0.4
0.2 0.0 -0.3
-0.6 -0.5 -0.3
0.0 -0.2 -0.2
-0.2 -0.2 0.3
0.2 -0.1 0.2
-1.7 -1.1 0.4
-1.2 -0.7 -2.4
-0.6 1.8 0.0
3.4 1.0 0.5
-1.2 0.0 0.9
1.2 0.2 -1.4
0.0 0.4 1.1
0.1 -0.3 -0.4
-0.1 -0.7 0.3
-0.6 0.2 0.1
-0.1 -0.4 0.4
0.2 0.1 0.1
-0.2 0.2 0.6
0.5 -0.1 -0.3
0.1 -0.7 0.1
-0.6 1.1 0.7
3.7 1.2 -2.7
-0.2 -0.3 1.5
-1.0 -1.6 0.1
-0.6 -0.3 -2.2
1.1 -0.9 1.1
-1.3 -0.4 1.2
-0.6 -0.4 0.4
0.2 -0.3 0.0
0.1 0.8 -0.1
-0.5 0.0 0.2
0.3 0.4 0.5
-0.4 0.3 -0.7
0.0 0.8 0.3
-0.4 -0.1 0.1
1.2 2.4 1.2
0.5 -0.3 -1.8
-2.3 0.5 -0.2
-1.7 -1.5 4.6
-0.1 0.6 -2.7
1.2 0.3 0.2
1.1 -1.3 -1.9
-0.4 -0.3 0.4
0.3 0.0 -0.4
0.1 -0.2 -0.1
0.0 -0.1 0.2
0.0 0.1 0.1
********

36 H -1.2192 5.9690 -1.3095
37 H 0.2794 5.3885 -0.6266
38 H -1.1220 5.1195 0.2931
39 H -1.4150 2.5706 -4.1284
40 H -2.9098 3.5337 -4.1232
41 H -2.9779 1.8292 -4.6779
42 O -2.3261 -1.1041 -0.8481
43 S -3.2151 -2.2011 -1.1811
44 O -2.9701 -3.5440 -0.6890
45 O -4.8293 -1.7202 -0.9958
46 C -5.8988 -2.5948 -0.7348
47 C -7.0716 -1.7013 -0.2300
48 C -3.3081 -2.3131 -3.0307
49 H -5.6333 -3.3165 0.0378
50 H -6.1845 -2.9966 -1.7069
51 H -7.2603 -1.0889 -1.1118
52 H -6.7197 -0.9812 0.5087
53 H -7.9659 -2.2649 0.0357
54 H -3.8730 -1.5027 -3.4912
55 H -3.8646 -3.2388 -3.1774
56 H -2.2961 -2.2193 -3.4247
57 O 1.4349 0.7869 -1.6518
58 S 1.8493 1.7071 -2.6602
59 O 1.1228 2.0191 -3.8749
60 O 2.3310 3.1868 -2.0046
61 C 2.5517 4.2696 -2.9288
62 C 3.1980 5.4236 -2.2664
63 C 3.5351 1.0537 -3.2164
64 H 1.6560 4.6028 -3.4530
65 H 3.1852 3.9313 -3.7488
66 H 2.7022 5.5458 -1.3034
67 H 3.3082 6.3041 -2.8994
68 H 4.2080 5.0612 -2.0748
69 H 3.3448 0.0506 -3.5981
70 H 4.1034 0.7661 -2.3318
71 H 4.0664 1.7367 -3.8792
72 O -1.3751 -4.8483 6.4308
73 S -0.5677 -3.6822 6.8487
74 O 0.8304 -3.9176 7.2429
75 O -0.5181 -2.6032 5.5234
76 C 0.4078 -2.7801 4.5187
77 C -0.4692 -2.9399 3.2298
78 C -1.5036 -2.5434 8.1091
79 H 1.1730 -3.5495 4.6219
80 H 0.9162 -1.8159 4.5066
81 H 0.1258 -2.6933 2.3505
82 H -1.2702 -2.2008 3.2438
83 H -0.8628 -3.9512 3.1274
84 H -2.2689 -2.0398 7.5185
85 H -0.7544 -1.8347 8.4618
86 H -1.8946 -3.2604 8.8310

Cartesian forces, eV/Å:
-0.4 0.5 0.3
3.0 0.5 -3.4
-2.1 -1.2 3.8
-0.8 2.0 0.1
0.4 -0.1 -0.4
-0.3 -1.8 -0.3
-0.3 1.0 0.2
1.6 -0.6 1.5
1.4 0.3 -1.7
-0.6 -2.1 -1.7
-1.4 1.1 0.8
1.1 0.4 0.3
-0.4 1.8 0.4
0.8 0.9 -0.2
-1.8 -0.4 0.5
0.3 -1.5 0.1
-0.3 0.4 0.3
0.1 -1.5 -1.3
-0.1 -0.3 0.2
-0.4 0.0 -0.6
0.0 -0.2 -0.1
0.1 0.7 0.0
0.3 -0.1 0.5
-0.1 0.1 0.2
0.1 0.3 0.2
-0.2 -0.3 -0.3
-2.9 2.4 -1.4
2.3 0.0 2.4
2.5 1.1 -0.3
-1.9 -2.5 -1.0
-0.3 0.3 1.7
0.7 -0.1 -1.2
0.2 -0.3 0.2
0.5 0.3 0.2
0.1 0.0 -0.3
-0.2 0.2 0.4
0.2 0.0 -0.3
-0.6 -0.5 -0.3
0.0 -0.2 -0.2
-0.2 -0.2 0.3
0.2 -0.1 0.2
-1.7 -1.1 0.4
-1.2 -0.7 -2.4
-0.6 1.8 0.0
3.4 1.0 0.5
-1.2 0.0 0.9
1.2 0.2 -1.4
0.0 0.4 1.1
0.1 -0.3 -0.4
-0.1 -0.7 0.3
-0.6 0.2 0.1
-0.1 -0.4 0.4
0.2 0.1 0.1
-0.2 0.2 0.6
0.5 -0.1 -0.3
0.1 -0.7 0.1
-0.6 1.1 0.7
3.7 1.2 -2.7
-0.2 -0.3 1.5
-1.0 -1.6 0.1
-0.6 -0.3 -2.2
1.1 -0.9 1.1
-1.3 -0.4 1.2
-0.6 -0.4 0.4
0.2 -0.3 0.0
0.1 0.8 -0.1
-0.5 0.0 0.2
0.3 0.4 0.5
-0.4 0.3 -0.7
0.0 0.8 0.3
-0.4 -0.1 0.1
1.2 2.4 1.2
0.5 -0.3 -1.8
-2.3 0.5 -0.2
-1.7 -1.5 4.6
-0.1 0.6 -2.7
1.2 0.3 0.2
1.1 -1.3 -1.9
-0.4 -0.3 0.4
0.3 0.0 -0.4
0.1 -0.2 -0.1
0.0 -0.1 0.2
0.0 0.1 0.1